how to get grease out of sheets
Kristina Davis

Grease stains are notoriously hard to remove, which makes us all wonder, “How to get grease out of sheets?” It’s annoying and frustrating, but we can’t just simply throw out our linens and replace them with new ones just because of one stain, right?

Grease tends to be stubborn to remove because it contains fat, which can break down the fibers in the fabric and can make the stain-resistant to laundering.

Luckily, we have listed here the most effective and efficient ways to remove grease stains using natural, non-toxic items that you can see in your home.

Read on below to know more!

How to Get Grease Out of Sheets Using Cornstarch and Baby Powder

cornstarch and baby powder

No matter how big or how small a stain is caused by oil maybe, you don’t have to fret as long as you’ve got cornstarch and baby powder sitting around your house.

Cornstarch is a natural way to absorb oil, and baby powder helps the corn starch adhere to the fabric, so you’ll be able to see if it’s picked up any grease from your clothes.

Furthermore, this method is pretty easy to do and is best for those with allergies to bleach or other harsh chemicals.

To know how to use these ingredients, let’s see the guide below!

Step 1: Start by taking out your sheet and spreading it out on the table. This will give you a better view of the mark you need to address.

Step 2: Take out your cornstarch and baby powder and put them in a bowl or container and mix them together.

Step 3: Pour about half a cup of corn starch (or more, depending on how much grease there is), then add an equal amount of baby powder and mix well.

Step 4: Apply the mixture to the stain and let it sit for about 30 minutes. The cornstarch will slowly soak up the grease, while the baby powder will act as a gentle abrasive to help scrub it away.

Step 5: Once the 30 minutes have passed, you may take a toothbrush and gently scrub at the stain in circular motions until the stain is gone. Repeat steps 2-4 if necessary.

Now that we’ve got that one covered let’s head to our next ingredient, which is rubbing alcohol.

New Knowledge

So far, we have learned that grease is stubborn to remove because of the fat content it contains, which clings to a fabric’s fiber.

You’re also aware that using cornstarch and baby powder can effectively eliminate oil marks by absorbing the stain, leaving you with a cleaner and brighter-looking sheet!

Remove Grease Stain Out of Sheets With Rubbing Alcohol

rubbing alcohol

The problem of greasy stains on satin sheets and other fabric is that the grease actually soaks into the material, making it difficult to remove without damaging or ruining your fabric in some way.

The good news is you can use rubbing alcohol to remove any mark because it contains a cleaning agent, often composed of isopropyl or ethyl alcohol.

This toxic cleaner can break through and dissolve grease stains without damaging your sheets.

Alcohol also works well with satin because it doesn’t cause it to shrink or become brittle.

Here’s how to properly do it:

  • Take your sheets and pour some alcohol onto the soiled area
  • Then dab it using a rag or sponge.
  • Let the alcohol sit for 5 minutes to penetrate the stain.
  • After, you may use a brush to rub any remaining residue.
  • Once done, let dry before using.
Take note: When using rubbing alcohol, you must be careful when applying it because even though it is safe to use on satin, it can have an adverse effect on lace if your sheet has lace trim or embroidery.

Section Summary

This section has been quite an excellent discovery for all our avid readers out there.

Other than knowing some great tricks on how to clean your fabrics by using alcohol, you have also learned how significant this ingredient is for satin, thanks to its ability to break down the grease without shrinking the sheet.

However, the best thing about this trick is that it’s so easy to do and doesn’t require any hard work at all!

Gone are the days of worrying about your precious possession because, with just a bottle of alcohol, you’ll seem as powerful as a superhero!

Using Vinegar and Detergent to Remove Tough Grease Stains

vinegar and detergent

Vinegar and detergent are some of the most effective ways to get rid of tough grease from sheets and have been used by people for decades!

The reason behind this is the high pH levels both vinegar and detergent have, which will then break down grease from your stains effectively without the need for an intense scrub.

This method works best for white sheets since vinegar works great with yellowish discolorations thanks to its acidic components.

Check the guide below to see how it’s done!

Method #1: Using a Washer

  1. Take your stained sheets and put them in the washer.
  2. Pour ¼ cup of vinegar, then add a tablespoon of detergent.
  3. Mix everything before turning the washer on for 20 minutes.
  4. You may pour in some fabric softener to remove the vinegar smell.
  5. After the cycle ends, remove your sheet from the machine.
  6. Let it hang dry before storing them.

Method #2: Handwashing

  • Pour vinegar on a rag and dab it into the greasy stains.
  • Then take a toothbrush and then gently scrub the stain
  • Once done, hand wash it with a detergent to remove the smell
  • Let it dry under the sun before folding it and storing it away.

Life-Saving Hack

-- Misplaced crystal structures --
/*
(1)
Here is a relaxed structure of V2NiP2O10 from Alexandria via LeMat-Bulk. Energies are from PBE+U.

a b c (Å): 7.4108 6.4266 7.3691
angles (deg): 89.93 90.00 90.00
Last column: nearest neighbours and their distance in Å.
Fractional coordinates of all 30 atoms:
O  0.7463  0.9388  0.6227  1 P 1.56
O  0.7537  0.9388  0.1227  1 P 1.56
O  0.2424  0.4450  0.3532  1 P 1.54
O  0.0038  0.7784  0.7952  1 P 1.56
O  0.6650  0.2276  0.3898  1 V 1.72
O  0.2537  0.0612  0.3773  1 P 1.56
O  0.2463  0.0612  0.8773  1 P 1.56
O  0.4901  0.2585  0.0465  1 P 1.53
O  0.7576  0.5550  0.6468  1 P 1.54
O  0.9962  0.2216  0.2048  1 P 1.56
O  0.0099  0.2585  0.5465  1 P 1.53
O  0.5038  0.2216  0.7048  1 P 1.56
O  0.8350  0.2276  0.8898  1 V 1.72
O  0.1650  0.7724  0.1102  1 V 1.72
O  0.7424  0.5550  0.1468  1 P 1.54
O  0.2576  0.4450  0.8532  1 P 1.54
O  0.3350  0.7724  0.6102  1 V 1.72
O  0.9901  0.7415  0.4535  1 P 1.53
O  0.5099  0.7415  0.9535  1 P 1.53
O  0.4962  0.7784  0.2952  1 P 1.56
Ni  0.5000  0.0000  0.5000  6 O 2.07-2.08
Ni  0.0000  0.0000  0.0000  6 O 2.07-2.08
P  0.1230  0.2508  0.3723  4 O 1.53-1.56
P  0.6230  0.7492  0.1277  4 O 1.53-1.56
P  0.8770  0.7492  0.6277  4 O 1.53-1.56
P  0.3770  0.2508  0.8723  4 O 1.53-1.56
V  0.2783  0.7438  0.8357  2 O 1.72-1.92
V  0.2217  0.7438  0.3357  2 O 1.72-1.92
V  0.7783  0.2562  0.6643  2 O 1.72-1.92
V  0.7217  0.2562  0.1643  2 O 1.72-1.92

Space group   P2_1/c
Energy above the most stable polymorph in this dataset   0 meV per atom

(2)
Here is a relaxed structure of V3Ni2P6WO24 from Alexandria via LeMat-Bulk. Energies are from PBE+U.

a b c (Å): 8.5499 8.6885 8.6885
angles (deg): 60.00 59.46 59.46
Last column: nearest neighbours and their distance in Å.
Fractional coordinates of all 36 atoms:
Ni  0.5018  0.4994  0.4994  6 O 2.16
Ni  0.0119  0.9960  0.9960  6 O 2.12-2.26
O  0.7247  0.4390  0.2439  1 P 1.55
O  0.2251  0.0919  0.7431  1 P 1.55
O  0.7247  0.5924  0.4390  1 P 1.55
O  0.7687  0.9095  0.2575  1 P 1.61
O  0.9338  0.6869  0.4906  1 P 1.51
O  0.9338  0.4906  0.8886  1 P 1.51
O  0.0687  0.1096  0.3199  1 P 1.51
O  0.5661  0.8186  0.6108  1 P 1.52
O  0.2809  0.5549  0.7572  1 P 1.55
O  0.4325  0.3899  0.9991  1 P 1.58
O  0.9338  0.8886  0.6869  1 P 1.51
O  0.7687  0.0643  0.9095  1 P 1.61
O  0.5661  0.0045  0.8186  1 P 1.52
O  0.7687  0.2575  0.0643  1 P 1.61
O  0.2251  0.9399  0.0919  1 P 1.55
O  0.0687  0.5019  0.1096  1 P 1.51
O  0.4325  0.9991  0.1785  1 P 1.58
O  0.2809  0.4070  0.5549  1 P 1.55
O  0.0687  0.3199  0.5019  1 P 1.51
O  0.2809  0.7572  0.4070  1 P 1.55
O  0.5661  0.6108  0.0045  1 P 1.52
O  0.7247  0.2439  0.5924  1 P 1.55
O  0.2251  0.7431  0.9399  1 P 1.55
O  0.4325  0.1785  0.3899  1 P 1.58
P  0.7492  0.4605  0.0450  4 O 1.51-1.61
P  0.2451  0.5492  0.9531  4 O 1.51-1.58
P  0.7492  0.7453  0.4605  4 O 1.51-1.61
P  0.2451  0.9531  0.2526  4 O 1.51-1.58
P  0.2451  0.2526  0.5492  4 O 1.51-1.58
P  0.7492  0.0450  0.7453  4 O 1.51-1.61
V  0.4283  0.8572  0.8572  6 O 1.96-2.07
*/

Who would have known a vinegar and detergent combo would help save our day, right? With this final hack, you have learned how to effectively remove oil stains by using some vinegar and detergent, which contains high levels of pH.

If you have no washing machine to use, you won’t even have to fret because we’ve also provided an alternative that lets you accomplish the same result!

Now, before you head out to try the things you’ve discovered here today, let’s have our…

Read Next: How to Remove Odors from Clothes without washing?


Grease is indeed hard to deal with, but it isn’t impossible to eliminate. Now that you’re aware of how to get grease out of sheets effectively and efficiently, you can relax while eating your favorite dishes without worry.

However, be sure to stay vigilant and act right away the moment a single drop of grease makes its way to your lovely linens, in order to get the best out of these methods and to save yourself a lot of time and effort by avoiding heavy scrubbing.

With this new knowledge, we’re confident you’ll be able to get any stain out of your sheets and make them feel fresh and even new again!

Be sure to save this post for future purposes and, of course, to share the knowledge with your friends and family members who might be looking for the same answers.

‘Til next time!